Listing =
# SnB3Cl, relaxed, DFT PBE
data_SnB3Cl
_chemical_formula_sum 'Sn1 B3 Cl1'
_cell_length_a 4.638
_cell_length_b 4.638
_cell_length_c 4.638
_cell_angle_alpha 90.00
_cell_angle_beta 90.00
_cell_angle_gamma 90.00
_space_group_name_H-M_alt 'P 1'
_space_group_IT_number 1
loop_
_space_group_symop_operation_xyz
'x,y,z'
loop_
_atom_site_label
_atom_site_fract_x
_atom_site_fract_y
_atom_site_fract_z
Sn1 0.000 0.000 0.000
B1 0.500 0.000 0.000
B2 0.000 0.000 0.500
B3 0.000 0.500 0.000
Cl1 0.500 0.500 0.500
# Uncorrected formation energy, eV/atom: 2.042
# Relative energy among the computed polymorphs, meV per atom: 0
# Space-group type: Pm-3m, No. 221

***

# SnB3Cl, relaxed, DFT PBE
data_SnB3Cl
_chemical_formula_sum 'Sn1 B3 Cl1'
_cell_length_a 4.050
_cell_length_b 4.050
_cell_length_c 4.050
_cell_angle_alpha 90.00
_cell_angle_beta 90.00
_cell_angle_gamma 90.00
_space_group_name_H-M_alt 'P 1'
_space_group_IT_number 1
loop_
_space_group_symop_operation_xyz
'x,y,z'
loop_
_atom_site_label
_atom_site_fract_x
_atom_site_fract_y
_atom_site_fract_z
B1 0.000 0.500 0.000
B2 0.500 0.000 0.000
B3 0.000 0.000 0.500
Cl1 0.000 0.000 0.000
Sn1 0.500 0.500 0.500
# Uncorrected formation energy, eV/atom: 2.139
# Relative energy among the computed polymorphs, meV per atom: 97
# Space-group type: Pm-3m, No. 221

***

# SnBCl3, relaxed, DFT PBE
data_SnBCl3
_chemical_formula_sum 'Sn1 B1 Cl3'
_cell_length_a 4.637
_cell_length_b 4.637
_cell_length_c 4.637
_cell_angle_alpha 90.00
_cell_angle_beta 90.00
_cell_angle_gamma 90.00
_space_group_name_H-M_alt 'P 1'
_space_group_IT_number 1
loop_
_space_group_symop_operation_xyz
'x,y,z'
loop_
_atom_site_label
_atom_site_fract_x
_atom_site_fract_y
_atom_site_fract_z
Sn1 0.500 0.500 0.500
Cl1 0.500 0.000 0.000
Cl2 0.000 0.000 0.500
Cl3 0.000 0.500 0.000
B1 0.000 0.000 0.000
# Uncorrected formation energy, eV/atom: 0.149
# Relative energy among the computed polymorphs, meV per atom: 0
# Space-group type: Pm-3m, No. 221

***

- Which formula does entry 1 have?
  SnB3Cl

=====

(1)
Computed, not measured: an optimized crystal structure of LiY2 at the GGA-PBEsol level of DFT.

The structure belongs to space group P-3m1 (No. 164); the cell edges are 5.3109, 5.3109 and 3.3541 Å and the angles 90.00°, 90.00° and 120.00°. The asymmetric unit holds Li at (0.0000, 0.0000, 0.0000) and Y at (0.3333, 0.6667, 0.7232).

The value obtained for the offset from the most stable computed form is 0.0919 eV/atom. The value obtained for the energy of formation is 0.547 eV/f.u.

---

(2)
Computed, not measured: an optimized crystal structure of TaFeI2F at the GGA-PBEsol level of DFT.

The structure belongs to space group P4/mmm (No. 123); the cell edges are 5.334, 5.334 and 3.637 Å and the angles 90.00°, 90.00° and 90.00°. The asymmetric unit holds Ta at (0.000, 0.000, 0.000), Fe at (0.500, 0.500, 0.500), I at (0.000, 0.500, 0.500) and F at (0.500, 0.500, 0.000).

The calculation puts the total energy at -5.130 eV/atom.

---

(3)
Computed, not measured: an optimized crystal structure of GdLuCu2 at the GGA-PBEsol level of DFT.

The structure belongs to space group Fm-3m (No. 225); the cell edges are 6.771, 6.771 and 6.771 Å and the angles 90.00°, 90.00° and 90.00°. The asymmetric unit holds Gd at (0.000, 0.000, 0.000), Lu at (0.000, 0.000, 0.500) and Cu at (0.250, 0.250, 0.250).

The value obtained for the energy of formation is -0.940 eV/f.u.

---

(4)
Computed, not measured: an optimized crystal structure of IrOs2Pt at the GGA-PBEsol level of DFT.

The structure belongs to space group Pmmm (No. 47); the cell edges are 2.702, 3.886 and 5.404 Å and the angles 90.00°, 90.00° and 90.00°. The asymmetric unit holds Ir at (0.000, 0.000, 0.000), Os at (0.500, 0.500, 0.245) and Pt at (0.000, 0.000, 0.500).

The value obtained for the offset from the most stable computed form is 0.0880 eV/atom. The value obtained for the energy of formation is 0.585 eV/f.u.

---

(5)

Work order =
Transcribe every line above that contains the word "data_SnBCl3".

Here it is =
data_SnBCl3